Magneto mix-up/reset thread v2.0

^^^ That"s some sick stuff man

**c.H, S, sju H, adf H, magnetic blast L, trijump H, c. H, S, sju H, addf H, jump M, H, **magnetic blast L, land call sentinel assist, j. H, magnetic blast L

The forward jump works because I let him reset at a low height. If you find yourself resetting a bit higher, you’ll have to wait until just before they pass over you and neutral jump :h: and continue as normal, as a jump forward :h: won’t hit.

i know this is not necessarily true, BUT, being that he teched forward, wouldn’t he be already holding the correct position to block this cross-up?

Absolutely he would, but I figured most players who do tech forward tap forward once then return to holding back. especially when they see the Drones coming

[Next to the text, the page also holds records of crystals]
# Cs2HfBr6

An optimized crystal structure of Cs2HfBr6 (GGA-PBE, the Materials Project database).

Properties
Calculated formation energy in eV/atom: -2.049
Space group: Fm-3m (225)
Calculated density in g/cm³: 4.43

abc: 7.880 7.880 7.880
angles: 60.00 60.00 60.00
Element x y z (fractional)
Cs: 0.250 0.250 0.250
Cs: 0.750 0.750 0.750
Hf: 0.000 0.000 0.000
Br: 0.764 0.236 0.764
Br: 0.236 0.236 0.764
Br: 0.764 0.764 0.236
Br: 0.236 0.764 0.236
Br: 0.236 0.764 0.764
Br: 0.764 0.236 0.236

***

# MnNiSnRh

An optimized crystal structure of MnNiSnRh (GGA-PBE, the Materials Project database).

Properties
Calculated formation energy in eV/atom: -0.262
Space group: F-43m (216)
Calculated density in g/cm³: 9.35

abc: 4.382 4.382 4.382
angles: 60.00 60.00 60.00
Element x y z (fractional)
Mn: 0.000 0.000 0.000
Ni: 0.250 0.250 0.250
Sn: 0.500 0.500 0.500
Rh: 0.750 0.750 0.750

***

# KSm2Sb3Se8

An optimized crystal structure of KSm2Sb3Se8 (GGA-PBE, the Materials Project database).

Properties
Calculated formation energy in eV/atom: -1.249
Space group: Pnma (62)
Calculated density in g/cm³: 5.61

abc: 4.140 17.135 22.319
angles: 90.00 90.00 90.00
Element x y z (fractional)
K: 0.750 0.298 0.244
K: 0.250 0.702 0.756
K: 0.750 0.798 0.256
K: 0.250 0.202 0.744
Sm: 0.750 0.963 0.090
Sm: 0.750 0.463 0.410
Sm: 0.250 0.291 0.545
Sm: 0.250 0.537 0.590
Sm: 0.250 0.791 0.955
Sm: 0.750 0.709 0.455
Sm: 0.750 0.209 0.045
Sm: 0.250 0.037 0.910
Sb: 0.250 0.423 0.087
Sb: 0.250 0.036 0.242
Sb: 0.250 0.355 0.901
Sb: 0.750 0.645 0.099
Sb: 0.250 0.855 0.599
Sb: 0.250 0.536 0.258
Sb: 0.750 0.464 0.742
Sb: 0.750 0.577 0.913
Sb: 0.750 0.145 0.401
Sb: 0.750 0.077 0.587
Sb: 0.750 0.964 0.758
Sb: 0.250 0.923 0.413
Se: 0.250 0.897 0.824
Se: 0.250 0.212 0.947
Se: 0.250 0.618 0.997
Se: 0.250 0.679 0.176
Se: 0.250 0.118 0.503
Se: 0.750 0.288 0.447
Se: 0.250 0.528 0.830
Se: 0.750 0.222 0.626
Se: 0.750 0.882 0.497
Se: 0.750 0.321 0.824
Se: 0.750 0.603 0.324
Se: 0.750 0.926 0.958
Se: 0.250 0.407 0.331
Se: 0.750 0.821 0.676
Se: 0.250 0.028 0.670
Se: 0.750 0.103 0.176
Se: 0.250 0.907 0.169
Se: 0.250 0.778 0.374
Se: 0.750 0.972 0.330
Se: 0.250 0.074 0.042
Se: 0.750 0.593 0.669
Se: 0.250 0.712 0.553
Se: 0.250 0.179 0.324
Se: 0.250 0.397 0.676
Se: 0.750 0.722 0.874
Se: 0.750 0.382 0.003
Se: 0.750 0.093 0.831
Se: 0.750 0.472 0.170
Se: 0.250 0.278 0.126
Se: 0.250 0.574 0.458
Se: 0.750 0.426 0.542
Se: 0.750 0.788 0.053

***

# Li3FeS3

An optimized crystal structure of Li3FeS3 (GGA-PBE, the Materials Project database).

Properties
Calculated formation energy in eV/atom: -1.132
Excess energy over the best structure of this formula in the dataset in eV/atom: 0.0000
Space group: P2_1/c (14)
Calculated density in g/cm³: 2.42

abc: 6.300 6.576 12.953
angles: 62.09 90.00 90.00
Element x y z (fractional)
Li: 0.499 0.960 0.386
Li: 0.005 0.904 0.394
Li: 0.505 0.470 0.788
Li: 0.005 0.530 0.712
Li: 0.505 0.096 0.106
Li: 0.999 0.040 0.114
Li: 0.001 0.960 0.886
Li: 0.495 0.904 0.894
Li: 0.995 0.470 0.288
[The records of crystals stop here]

Good point, good point.

Calculated crystals, kept here for reference.
-- begin --
A relaxed structure of HgP2Pd2O8, computed with PBE.

Unit cell a=9.902 b=8.790 c=6.772 alpha=77.84 beta=60.21 gamma=41.96
Element x y z (fractional)
1 O 0.871 0.651 0.353
2 O 0.353 0.125 0.871
3 O 0.897 0.125 0.379
4 O 0.720 0.077 0.778
5 O 0.125 0.897 0.599
6 O 0.530 0.173 0.472
7 O 0.425 0.778 0.077
8 O 0.778 0.425 0.720
9 O 0.825 0.472 0.173
10 O 0.472 0.825 0.530
11 O 0.599 0.379 0.125
12 O 0.173 0.530 0.825
13 O 0.077 0.720 0.425
14 O 0.379 0.599 0.897
15 O 0.651 0.871 0.125
16 O 0.125 0.353 0.651
17 P 0.545 0.545 0.955
18 P 0.705 0.705 0.295
19 P 0.295 0.295 0.705
20 P 0.955 0.955 0.545
21 Pd 0.125 0.625 0.125
22 Pd 0.125 0.125 0.625
23 Pd 0.625 0.125 0.125
24 Pd 0.125 0.125 0.125
25 Hg 0.500 0.500 0.500
26 Hg 0.750 0.750 0.750

magnetic moment = 0.00 μB/atom
final energy = -6.03 eV per atom
space-group type = Fddd (70)
calculated formation energy = -1758 meV/atom
energy with MP2020 corrections = -6.46 eV per atom

* * * * *

# 1
{"formula": "Li5MnCo2O8", "functional": "PBE with a Hubbard U", "state": "optimized geometry", "lattice": [[2.859, 0.000, 0.427], [-0.057, 5.080, 0.381], [0.005, -0.087, 9.753]], "species": ["Li", "Li", "Li", "Li", "Li", "O", "O", "O", "O", "O", "O", "O", "O", "Co", "Co", "Mn"], "frac_coords": [[0.623, 0.874, 0.754], [0.500, 0.500, 0.000], [0.377, 0.126, 0.246], [0.120, 0.383, 0.759], [0.880, 0.617, 0.241], [0.193, 0.068, 0.613], [0.942, 0.287, 0.117], [0.445, 0.833, 0.111], [0.308, 0.436, 0.385], [0.058, 0.713, 0.883], [0.807, 0.932, 0.387], [0.692, 0.564, 0.615], [0.555, 0.167, 0.889], [0.250, 0.750, 0.500], [0.750, 0.250, 0.500], [0.000, 0.000, 0.000]]}

***

# 2
{"formula": "Li4MnCo2O7", "functional": "PBE with a Hubbard U", "state": "optimized geometry", "lattice": [[1.461, 9.738, 0.000], [-1.461, 9.738, 0.000], [0.000, 4.008, 8.904]], "species": ["Li", "Li", "Li", "Li", "Li", "Li", "Li", "Li", "O", "O", "O", "O", "O", "O", "O", "O", "O", "O", "O", "O", "O", "O", "Co", "Co", "Co", "Co", "Mn", "Mn"], "frac_coords": [[0.508, 0.508, 0.501], [0.075, 0.075, 0.224], [0.141, 0.141, 0.427], [0.641, 0.641, 0.922], [0.776, 0.776, 0.373], [0.933, 0.933, 0.773], [0.215, 0.215, 0.637], [0.355, 0.355, 0.073], [0.813, 0.813, 0.968], [0.676, 0.676, 0.548], [0.959, 0.959, 0.389], [0.246, 0.246, 0.237], [0.184, 0.184, 0.045], [0.387, 0.387, 0.679], [0.755, 0.755, 0.755], [0.096, 0.096, 0.832], [0.616, 0.616, 0.304], [0.327, 0.327, 0.464], [0.466, 0.466, 0.908], [0.902, 0.902, 0.176], [0.037, 0.037, 0.614], [0.530, 0.530, 0.096], [0.582, 0.582, 0.687], [0.857, 0.857, 0.573], [0.428, 0.428, 0.289], [0.286, 0.286, 0.859], [0.000, 0.000, 0.996], [0.710, 0.710, 0.152]]}

***

Quick rundown of formation energy, same order as above: -1.8428 -1.8589 eV per atom
-- stop --

If they do block the cross-up, they’re either incredibly stupid (for holding forward while they land on Drones before the cross-up) or have ridiculous reactions

Man I just realized I can’t do any of this shit high. No more playin magnus on point when a blunt’s on rotation lol

That’s why I switched to Thor/Hulk/Sentinel when I’m …enhanced.

Alright I found that this here:

man how the fuck does this video look better than the second? stupid stages lol that’s why for me it’s always either training room or danger room (STFU CHARLES)

Btw; how exactly is the fuzzy guard with magneto done? Is it just a superjump and normal jump with the :l:s?

You can start it with both tri-jump :h: or :l: and it’s a normal jump with :l: afterwards, addf cancelled into :l: again.

btw, you can do trij.:l:>j.:l: xx addf :l: > j.:l: xx addf :l: > cr.:l::s:

That’s five fuzzy overheads and it combos on hit. sick, right? :stuck_out_tongue:

[media=youtube]kC20O1lFELQ[/media]just to prove i wasn’t kidding lol

3rd post updated with fuzzy guard data

I found some juicy stuff guys.

The fuzzy guard j.:m: cross ups that work on Nova/Wesker also work on other characters but all you need to do is air dash forward and time the j.:m: right and it’ll hit as a cross up but you’ll still be in front of them. Probably character specific… I don’t see it working on rocket raccoon and company but it’ll probably work on most of the cast

If this is a viable set-up, then hello mvc2 all over again

So basically sj :u: dash :f: :m: ? I’m thinking of doing some MvC2-like assist setups that could lead into this:


I was doing it consistently before then I played some Saints Row 3 co op… now I’m back in the lab and I can’t get it to work anymore… wtf. sj adf :m: still gets you really, really ambiguous cross ups though. Like way more ambiguous than Dante’s

'''
1.
Below is a relaxed structure of Na3P3O10, with properties calculated at the GGA-PBE level.

```
Na3P3O10
1.0
0.0000 0.0000 7.8293
8.2304 0.0000 0.0000
0.0000 13.5454 0.0000
O P Na
40 12 12
Direct
0.2388 0.2500 0.2840
0.6796 0.2500 0.4741
0.9377 0.0969 0.1028
0.2612 0.7500 0.7840
0.3797 0.2500 0.5594
0.9804 0.2500 0.5949
0.3204 0.7500 0.5259
0.7612 0.7500 0.7160
0.8831 0.5428 0.5935
0.1169 0.0428 0.4065
0.0196 0.7500 0.4051
0.5623 0.9031 0.6028
0.9377 0.4031 0.1028
0.8831 0.9572 0.5935
0.2972 0.5483 0.2550
0.3831 0.9572 0.9065
0.4804 0.2500 0.9051
0.6203 0.7500 0.4406
0.2028 0.0483 0.7550
0.7972 0.9517 0.2450
0.4377 0.0969 0.3972
0.6169 0.0428 0.0935
0.3831 0.5428 0.9065
0.7388 0.2500 0.2160
0.8797 0.2500 0.9406
0.4377 0.4031 0.3972
0.7028 0.0483 0.7450
0.2972 0.9517 0.2550
0.6169 0.4572 0.0935
0.0623 0.9031 0.8972
0.2028 0.4517 0.7550
0.7028 0.4517 0.7450
0.5196 0.7500 0.0949
0.0623 0.5969 0.8972
0.8204 0.7500 0.9741
0.1203 0.7500 0.0594
0.1169 0.4572 0.4065
0.7972 0.5483 0.2450
0.5623 0.5969 0.6028
0.1796 0.2500 0.0259
0.7611 0.4281 0.1646
0.0111 0.7500 0.9683
0.7389 0.5719 0.6646
0.2611 0.4281 0.3354
0.4889 0.2500 0.4683
0.7389 0.9281 0.6646
0.2389 0.5719 0.8354
0.2389 0.9281 0.8354
0.9889 0.2500 0.0317
0.2611 0.0719 0.3354
0.5111 0.7500 0.5317
0.7611 0.0719 0.1646
0.9600 0.2500 0.7700
0.8224 0.0082 0.4214
0.4600 0.2500 0.7300
0.6776 0.5082 0.9214
0.0400 0.7500 0.2300
0.8224 0.4918 0.4214
0.1776 0.5082 0.5786
0.1776 0.9918 0.5786
0.3224 0.4918 0.0786
0.6776 0.9918 0.9214
0.5400 0.7500 0.2700
0.3224 0.0082 0.0786
```

Output
Its spin magnetization is 2.00 μB/f.u. As for the total energy after the MP2020 corrections: -6.7021 eV per atom.

2.
Below is a relaxed structure of LaSiRh, with properties calculated at the GGA-PBE level.

```
LaSiRh
1.0
-5.3463 3.0618 -1.8070
-3.5441 -4.8479 2.2716
-0.2811 2.8890 5.7270
La Si Rh
4 4 4
Direct
0.8664 0.6335 0.3664
0.1336 0.1336 0.1336
0.6335 0.3664 0.8664
0.3664 0.8664 0.6335
0.3384 0.6616 0.1616
0.8384 0.8384 0.8384
0.6616 0.1616 0.3384
0.1616 0.3384 0.6616
0.0770 0.5770 0.9230
0.4230 0.4230 0.4230
0.5770 0.9230 0.0770
0.9230 0.0770 0.5770
```

3.
Below is a relaxed structure of TbCeO4, with properties calculated at the GGA-PBE level.

```
TbCeO4
1.0
-3.9490 3.9490 5.2547
3.9490 -3.9490 5.2547
3.9490 3.9490 -5.2547
O Tb Ce
16 4 4
Direct
0.9965 0.4965 0.9929
0.4970 0.9970 0.5000
0.2465 0.7535 0.0000
0.2500 0.7500 0.5000
0.7500 0.2500 0.5000
0.5035 0.0035 0.0071
0.0030 0.5030 0.5000
0.0000 0.0000 0.0000
0.7535 0.2465 0.0000
0.5035 0.4965 0.5000
0.7535 0.7535 0.5071
0.5000 0.5000 0.0000
0.7470 0.7470 0.0000
0.2465 0.2465 0.4929
0.9965 0.0035 0.5000
0.2530 0.2530 0.0000
0.3750 0.6250 0.2500
0.3750 0.6250 0.7500
0.3750 0.1250 0.7500
0.8750 0.6250 0.2500
0.8750 0.1250 0.2500
0.3750 0.1250 0.2500
0.8750 0.6250 0.7500
0.8750 0.1250 0.7500
```

Output
Its spin magnetization is 0.00 μB/f.u. As for the total energy after the MP2020 corrections: -8.6214 eV per atom.

4.
'''

Once I get home I’m gonna record some of those set ups. Like I said before, I got some old school type set ups in mind and I think yall might take an interest into them.

On a side note: I just played online for the first time. Never again.

I thought people said the netplay was decent? Even if I know what the other person is gonna do, there isn’t a god damn thing I can do because I don’t have a scuba license. I regularly go even with my crack buddies who are REALLY, REALLY good and yet I fall prey to Dr. Derp jumping :s:pam because of how bad the netplay is. It’s not as bad as Vanilla but god damn, it’s still really bad.

I have FiOS and was playing someone who lives not even 20 miles away and it was still like a half second input delay.

Online Magneto makes me a sad panda

I’m really loving the videos in this thread (especially Kanta’s) but besides that, Magneto just got extremely boring after his “he isn’t like that in the comics” changes, thus me dropping him and Ultimate. lol